Academic freedom is under assault by people who want to control research and speech. One of their strategies exploits the gatekeeping functions of journal editors to censor unpopular ideas.
The leading open-access journal in the field of intelligence research, the Journal of Intelligence, has a policy listed on its website since 2018 that states, “The journal will not publish articles that may lead to or enhance political controversies and the editors will judge whether that is the case.” In other words, the journal’s editors will reject manuscripts that could be politically controversial—regardless of the quality of the science.
On May 15, 2020, two colleagues of mine received a desk rejection from the journal stating:
It is an estimate from my part that your article may lead to or enhance political controversies. I believe that the motivation as described in the introduction of your manuscript and the mixed language (performance, skills, cognitive ability, cognitive competency, IQ) used to refer to the findings may lead to interpretations and conclusions which are politically controversial. This is neither an evaluation of the quality of your work (which would require a scientific review process), nor am I saying that your results should not be communicated in some way. However, in my estimation, the manuscript as submitted does not fit with policy of the journal.
The manuscript reported average cognitive test scores among different ethnic groups in a sample of 83,155 British adults. The authors (Bryan Pesta and John Fuerst) obtained data from six nationally representative samples of native-born British and immigrant examinees to estimate the magnitude of the differences in test performance.
Regardless of what one thinks of this research topic, to summarily reject the manuscript because it might cause controversy is censorious, subjective, and an obstruction to the pursuit of knowledge.
Desk rejections are certainly within the purview of a journal editor’s duties, especially when manuscripts do not meet minimum standards of scholarly quality for the journal (e.g., small sample sizes, invalid measurements). Additionally, some non-scientific considerations (such as page limits, publication budgets, and legitimate limits on a journal’s scope) can influence publication decisions. Those parameters foster scholarly communication by ensuring quality and a match between the journal’s articles and its readers’ interests.
However, when a decision is based on non-scientific considerations that do not foster open scholarly communication, this is censorship.
The editor who rejected Pesta and Fuerst’s manuscript explicitly stated that the rejection came from the decision to avoid political controversy. The censorious nature of this policy and decision is obvious: By prioritizing political tranquility over scientific truth, the editors robbed the scientific community of the opportunity to evaluate the data for themselves and arrive at their own conclusions
Perhaps the editor felt he was doing the scientific community and perhaps the community at large a service by protecting it from this potentially harmful scholarship. But this could also be viewed as a paternalistic abuse of power that lets the editor decide what information other people can handle.
It is acceptable for an editor to desk-reject manuscripts that lack sufficient detail for a study to be replicated, or if the statistical results are mathematically impossible. In these cases, there is no harm to scholarly communication because standards can be applied uniformly and without regard to the manuscript authors’ conclusions.
However, when quality standards are adjusted so that controversial, unorthodox, or disfavored conclusions are held to a higher level of scrutiny than favored ideas, then this becomes a backdoor censorship procedure.
This method of censorship may be tempting to editors because it has the appearance of scientific rigor—and can be easily disguised as such. But having unrealistically high standards of quality for controversial work can produce the same outcome as an outright ban.
Differing standards of quality result in a distorted body of literature where socially favored findings are published more often and in more prestigious journals while controversial or disfavored results are marginalized to low-level journals and non-peer-reviewed outlets, such as blogs and pre-print servers. That biases the literature (and thus perceived empirical truth) to appear more politically palatable than is warranted by actual reality. Moreover, it is possible that a systematically biased science might also create political conflict, making such censorship attempts self-defeating.
Beyond the censorious nature of the policies that prioritize non-scientific considerations when evaluating scholarly manuscripts, such policies are wholly subjective.
Calculated crystals that have nothing to do with the piece:
<<<
# 1
The following is a PBE calculation of a geometry-optimized Pm2HgN structure, from Alexandria.

```
data_Pm2HgN
_cell_length_a 3.1763
_cell_length_b 3.1763
_cell_length_c 8.1615
_cell_angle_alpha 90.00
_cell_angle_beta 90.00
_cell_angle_gamma 90.00
_symmetry_space_group_name_H-M 'P 4/m m m'
_symmetry_Int_Tables_number 123
_symmetry_space_group_name_Hall '-P 4 2'
loop_
_atom_site_label
_atom_site_type_symbol
_atom_site_fract_x
_atom_site_fract_y
_atom_site_fract_z
Pm1 Pm 0.0000 0.0000 0.1806
Hg1 Hg 0.5000 0.5000 0.5000
N1 N 0.5000 0.5000 0.0000
```

Computed properties:
ΔE_f (raw), eV/atom: -0.428
Relative energy among the computed polymorphs, meV per atom: 520

# 2
The following is a PBE calculation of a geometry-optimized Pm4Hg3N structure, from Alexandria.

```
data_Pm4Hg3N
_cell_length_a 7.5894
_cell_length_b 7.5894
_cell_length_c 7.5894
_cell_angle_alpha 90.00
_cell_angle_beta 90.00
_cell_angle_gamma 90.00
_symmetry_space_group_name_H-M 'I -4 3 m'
_symmetry_Int_Tables_number 217
_symmetry_space_group_name_Hall 'I -4 2 3'
loop_
_atom_site_label
_atom_site_type_symbol
_atom_site_fract_x
_atom_site_fract_y
_atom_site_fract_z
Pm1 Pm 0.1765 0.1765 0.1765
>>>
What are the standards for whether a manuscript “may lead to or enhance political controversies?” How will the editors—who are human and cannot know the future—make such a determination? Which topics are sufficiently controversial and what is the minimum standard for the level of controversy that warrants censorship? At what point does avoiding controversy become enforcing groupthink?
The desire to avoid controversy is not a valid motive for editors to reject a manuscript—at least not for a scholarly journal that seeks to promote the truth.Indeed, the Journal of Intelligence’s archives show that the policy has not been applied consistently. A study about score gaps on achievement tests (frequent proxies for intelligence tests) among demographic groups in Brazil was published in February 2019. A study published three months later showed sex differences on various tests and a variability difference favoring males; similar results in other studies have led to controversy at other journals. Another article reported higher test anxiety among Hispanics than whites and examined how test anxiety can have differential effects on these two groups.
It is not clear why those articles were deemed non-controversial and worthy of publication while Pesta and Fuerst’s manuscript was too controversial for peer review—let alone publication.
Finally, a policy that seeks to avoid controversy before publicizing the truth is problematic because it privileges the status quo. If editors avoid publishing about political controversies, it makes a journal complicit in perpetuating poor policies or even an undemocratic dictatorship. Politically inconvenient findings that could function as a catalyst for change and a better society would be suppressed because of the aim to “avoid political controversy.”
Applying the Journal of Intelligence’s policy to a totalitarian country shows the problem clearly. This is not merely a theoretical exercise. The Journal of Intelligence is owned by the publisher MDPI. While the company’s headquarters are in Basel, Switzerland, the publisher has four offices in three Chinese cities. It is legitimate to wonder whether the communist regime in China can pressure MDPI in order to censor dissent under the guise of avoiding controversy.
The desire to avoid controversy is not a valid motive for editors to reject a manuscript—at least not for a scholarly journal that seeks to promote the truth. While there are legitimate non-scientific reasons to reject manuscripts, editors should apply these standards uniformly and ensure that such considerations foster scholarly communication.
But I fear that editors who wish to control the dialogue in their fields will take the wrong lesson from this example. This controversy erupted because the staff at the Journal of Intelligence was forthright about why Fuerst and Pesta’s manuscript was rejected. If the editors had instead claimed that the manuscript was rejected because of a lack of methodological quality, then no one would have ever known about their censorious behavior.
Hopefully, the editors will not decide that the controversy occurred because they “said the quiet part loud and the loud part quiet.” If my analysis moves the censorship underground, then scholarly inquiry will be damaged and distorted further.
I call on the editors at the Journal of Intelligence—and all scholarly journals—to disregard any potential for controversy when evaluating work submitted to their journals. Controversy is often the price for scholarly knowledge.
Moreover, controversial topics may be the ones most in need of scholarly examination so that controversies can be put to rest, and societies can progress and develop empirically based policies. As Tong and von Hippel (2020) stated, “…The history of discovery is also the history of the world becoming safer, healthier, and richer…There is no reason to believe that we are at a unique discontinuity in human history, whereby future discoveries will have more cost than benefit.”
While the desire to avoid controversy is understandable, it is a goal that can hinder discovery and withhold or delay the benefits of scientific knowledge from those very societies that editors believe they are trying to help.
Russell T. Warne is an associate professor of psychology in the Department of Behavioral Science at Utah Valley University.